# Entries
- - -
Entry 1:
{
  "formula": "C2H14NO4",
  "method": "the ωB97M-V functional and the def2-TZVPD basis",
  "elements": ["C", "C", "N", "H", "H", "H", "H", "H", "H", "H", "H", "O", "H", "H", "O", "H", "H", "O", "H", "H", "O"],
  "coordinates": [[0.218, -1.095, -1.483], [-0.351, -2.735, 0.221], [0.081, -1.553, -0.078], [1.085, -0.473, -1.669], [-0.566, -0.497, -1.732], [0.273, -2.069, -2.069], [-0.711, -3.496, -0.513], [-0.415, -2.876, 1.308], [0.327, -0.847, 0.649], [-1.915, 2.855, 0.274], [-3.149, 1.978, 0.013], [-2.302, 2.233, -0.422], [1.978, 3.472, -1.093], [2.873, 2.305, -1.877], [2.016, 2.782, -1.725], [0.303, 1.325, 0.861], [-1.337, 1.162, 0.626], [-0.396, 0.714, 0.515], [0.417, -1.795, 2.828], [0.958, -0.376, 3.011], [0.614, -1.013, 2.355]],
  "forces_ev_per_a": [[1.9, -3.4, 0.1], [0.3, 1.9, 0.4], [0.0, -2.1, -1.6], [0.4, -0.2, 0.5], [-2.5, 1.4, -0.7], [-0.1, 1.6, 0.2], [0.6, 0.9, 0.6], [-0.1, -0.6, -0.7], [-0.6, -0.7, 0.0], [-0.8, -0.7, -1.7], [0.4, 0.4, -0.7], [-0.4, 0.8, 2.5], [1.0, 0.8, 0.9], [-1.1, 1.5, 0.9], [0.1, -2.3, -1.7], [-1.2, -0.5, -0.5], [2.9, -1.1, -0.8], [-1.1, 2.4, 1.2], [-0.1, -1.2, 1.1], [-0.3, -0.5, -0.4], [0.8, 1.7, 0.5]],
  "lumo_energy_ev": -3.9,
  "charge": 1,
  "gap_ev": 10.28,
  "e_tot_ha": -440.004803
}

Entry 2:
{
  "formula": "C2H14NO4",
  "method": "the ωB97M-V functional and the def2-TZVPD basis",
  "elements": ["C", "C", "N", "H", "H", "H", "H", "H", "H", "H", "H", "O", "H", "H", "O", "H", "H", "O", "H", "H", "O"],
  "coordinates": [[-1.817, -0.145, -1.496], [-1.216, 0.594, 0.704], [-0.813, 0.206, -0.431], [-1.833, 0.553, -2.334], [-2.778, -0.079, -0.977], [-1.535, -1.116, -1.894], [-2.278, 0.851, 0.752], [-0.542, 0.569, 1.559], [0.165, 0.320, -0.795], [4.728, -0.104, 0.356], [4.134, -1.152, -0.540], [3.866, -0.399, 0.019], [-4.528, -0.727, 0.653], [-4.426, 0.700, 1.410], [-4.197, 0.175, 0.632], [2.796, -0.423, 1.375], [2.151, -0.630, 2.769], [1.901, -0.592, 1.812], [1.905, -0.201, -1.518], [2.518, 0.840, -0.695], [1.800, 0.760, -1.361]],
  "forces_ev_per_a": [[0.0, 0.7, 0.3], [0.2, -0.3, 0.0], [-0.5, 0.6, -1.9], [0.4, 0.2, 0.2], [0.1, -0.5, -0.5], [-0.3, -0.2, 0.2], [0.1, -0.5, 0.6], [0.0, 0.7, -0.1], [-0.1, -0.4, 0.9], [0.1, 0.3, 0.0], [-0.3, 0.0, 0.1], [0.5, -0.4, 0.5], [-0.4, 0.1, 0.6], [-0.6, -0.6, 0.0], [0.7, 0.5, -0.4], [0.2, -0.1, -1.0], [-0.5, -0.1, 0.2], [0.5, 0.1, 0.5], [-0.1, 0.4, -0.7], [-0.2, 0.6, -0.5], [0.3, -1.2, 0.9]],
  "lumo_energy_ev": [-7.7, -15.2],
  "charge": 2,
  "gap_ev": [10.73, 2.90],
  "e_tot_ha": -439.498275,
  "spin_multiplicity": 2,
  "s2": 0.756
}

Entry 3:
{
  "formula": "C2H14O4S",
  "method": "the ωB97M-V functional and the def2-TZVPD basis",
  "elements": ["C", "C", "S", "H", "H", "H", "H", "H", "H", "H", "H", "O", "H", "H", "O", "H", "H", "O", "H", "H", "O"],
  "coordinates": [[-1.252, 0.787, -1.775], [-1.702, 0.068, -0.507], [-1.879, 1.181, 0.916], [-1.016, 0.027, -2.520], [-2.062, 1.346, -2.255], [-0.449, 1.489, -1.566], [-1.019, -0.743, -0.251], [-2.618, -0.458, -0.741], [-3.127, 1.576, 0.627], [1.944, -3.222, 0.443], [1.334, -1.998, -0.120], [1.066, -2.856, 0.264], [1.852, 2.365, 1.541], [1.188, 0.983, 1.538], [1.592, 1.646, 0.959], [2.288, 0.202, -1.665], [1.694, 0.343, -0.289], [1.914, -0.320, -0.950], [0.504, -1.467, 1.967], [-0.590, -0.381, 2.097], [0.335, -0.568, 2.289]],
  "forces_ev_per_a": [[-0.5, -0.1, -0.2], [0.1, 0.0, -0.7], [-0.3, -0.1, -0.2], [0.6, 0.1, 0.0], [-0.1, 0.1, 0.4], [0.3, -0.2, -0.2], [0.3, 0.3, 0.2], [-0.5, 0.0, 0.3], [0.0, 0.0, 0.1], [-0.3, -0.3, 0.1], [-0.3, -0.1, -0.3], [0.7, 0.5, 0.2], [0.0, 0.0, -0.1], [-0.1, -0.2, 0.3], [0.0, 0.1, 0.1], [0.0, -0.2, -0.1], [0.1, 0.4, 0.3], [-0.1, -0.3, -0.2], [0.0, 0.1, -0.1], [-0.2, -0.1, 0.1], [0.3, -0.1, 0.0]],
  "lumo_energy_ev": 0.6,
  "charge": 0,
  "smiles": "CCS.O.O.O.O",
  "gap_ev": 9.95,
  "e_tot_ha": -783.746677
}

Entry 4:
{
  "formula": "C2H14O4S",
  "method": "the ωB97M-V functional and the def2-TZVPD basis",
- - -

# Exercise
Set down all of the block further up word for word.

# Worked solution
Entry 1:
{
  "formula": "C2H14NO4",
  "method": "the ωB97M-V functional and the def2-TZVPD basis",
  "elements": ["C", "C", "N", "H", "H", "H", "H", "H", "H", "H", "H", "O", "H", "H", "O", "H", "H", "O", "H", "H", "O"],
  "coordinates": [[0.218, -1.095, -1.483], [-0.351, -2.735, 0.221], [0.081, -1.553, -0.078], [1.085, -0.473, -1.669], [-0.566, -0.497, -1.732], [0.273, -2.069, -2.069], [-0.711, -3.496, -0.513], [-0.415, -2.876, 1.308], [0.327, -0.847, 0.649], [-1.915, 2.855, 0.274], [-3.149, 1.978, 0.013], [-2.302, 2.233, -0.422], [1.978, 3.472, -1.093], [2.873, 2.305, -1.877], [2.016, 2.782, -1.725], [0.303, 1.325, 0.861], [-1.337, 1.162, 0.626], [-0.396, 0.714, 0.515], [0.417, -1.795, 2.828], [0.958, -0.376, 3.011], [0.614, -1.013, 2.355]],
  "forces_ev_per_a": [[1.9, -3.4, 0.1], [0.3, 1.9, 0.4], [0.0, -2.1, -1.6], [0.4, -0.2, 0.5], [-2.5, 1.4, -0.7], [-0.1, 1.6, 0.2], [0.6, 0.9, 0.6], [-0.1, -0.6, -0.7], [-0.6, -0.7, 0.0], [-0.8, -0.7, -1.7], [0.4, 0.4, -0.7], [-0.4, 0.8, 2.5], [1.0, 0.8, 0.9], [-1.1, 1.5, 0.9], [0.1, -2.3, -1.7], [-1.2, -0.5, -0.5], [2.9, -1.1, -0.8], [-1.1, 2.4, 1.2], [-0.1, -1.2, 1.1], [-0.3, -0.5, -0.4], [0.8, 1.7, 0.5]],
  "lumo_energy_ev": -3.9,
  "charge": 1,
  "gap_ev": 10.28,
  "e_tot_ha": -440.004803
}

Entry 2:
{
  "formula": "C2H14NO4",
  "method": "the ωB97M-V functional and the def2-TZVPD basis",
  "elements": ["C", "C", "N", "H", "H", "H", "H", "H", "H", "H", "H", "O", "H", "H", "O", "H", "H", "O", "H", "H", "O"],
  "coordinates": [[-1.817, -0.145, -1.496], [-1.216, 0.594, 0.704], [-0.813, 0.206, -0.431], [-1.833, 0.553, -2.334], [-2.778, -0.079, -0.977], [-1.535, -1.116, -1.894], [-2.278, 0.851, 0.752], [-0.542, 0.569, 1.559], [0.165, 0.320, -0.795], [4.728, -0.104, 0.356], [4.134, -1.152, -0.540], [3.866, -0.399, 0.019], [-4.528, -0.727, 0.653], [-4.426, 0.700, 1.410], [-4.197, 0.175, 0.632], [2.796, -0.423, 1.375], [2.151, -0.630, 2.769], [1.901, -0.592, 1.812], [1.905, -0.201, -1.518], [2.518, 0.840, -0.695], [1.800, 0.760, -1.361]],
  "forces_ev_per_a": [[0.0, 0.7, 0.3], [0.2, -0.3, 0.0], [-0.5, 0.6, -1.9], [0.4, 0.2, 0.2], [0.1, -0.5, -0.5], [-0.3, -0.2, 0.2], [0.1, -0.5, 0.6], [0.0, 0.7, -0.1], [-0.1, -0.4, 0.9], [0.1, 0.3, 0.0], [-0.3, 0.0, 0.1], [0.5, -0.4, 0.5], [-0.4, 0.1, 0.6], [-0.6, -0.6, 0.0], [0.7, 0.5, -0.4], [0.2, -0.1, -1.0], [-0.5, -0.1, 0.2], [0.5, 0.1, 0.5], [-0.1, 0.4, -0.7], [-0.2, 0.6, -0.5], [0.3, -1.2, 0.9]],
  "lumo_energy_ev": [-7.7, -15.2],
  "charge": 2,
  "gap_ev": [10.73, 2.90],
  "e_tot_ha": -439.498275,
  "spin_multiplicity": 2,
  "s2": 0.756
}

Entry 3:
{
  "formula": "C2H14O4S",
  "method": "the ωB97M-V functional and the def2-TZVPD basis",
  "elements": ["C", "C", "S", "H", "H", "H", "H", "H", "H", "H", "H", "O", "H", "H", "O", "H", "H", "O", "H", "H", "O"],
  "coordinates": [[-1.252, 0.787, -1.775], [-1.702, 0.068, -0.507], [-1.879, 1.181, 0.916], [-1.016, 0.027, -2.520], [-2.062, 1.346, -2.255], [-0.449, 1.489, -1.566], [-1.019, -0.743, -0.251], [-2.618, -0.458, -0.741], [-3.127, 1.576, 0.627], [1.944, -3.222, 0.443], [1.334, -1.998, -0.120], [1.066, -2.856, 0.264], [1.852, 2.365, 1.541], [1.188, 0.983, 1.538], [1.592, 1.646, 0.959], [2.288, 0.202, -1.665], [1.694, 0.343, -0.289], [1.914, -0.320, -0.950], [0.504, -1.467, 1.967], [-0.590, -0.381, 2.097], [0.335, -0.568, 2.289]],
  "forces_ev_per_a": [[-0.5, -0.1, -0.2], [0.1, 0.0, -0.7], [-0.3, -0.1, -0.2], [0.6, 0.1, 0.0], [-0.1, 0.1, 0.4], [0.3, -0.2, -0.2], [0.3, 0.3, 0.2], [-0.5, 0.0, 0.3], [0.0, 0.0, 0.1], [-0.3, -0.3, 0.1], [-0.3, -0.1, -0.3], [0.7, 0.5, 0.2], [0.0, 0.0, -0.1], [-0.1, -0.2, 0.3], [0.0, 0.1, 0.1], [0.0, -0.2, -0.1], [0.1, 0.4, 0.3], [-0.1, -0.3, -0.2], [0.0, 0.1, -0.1], [-0.2, -0.1, 0.1], [0.3, -0.1, 0.0]],
  "lumo_energy_ev": 0.6,
  "charge": 0,
  "smiles": "CCS.O.O.O.O",
  "gap_ev": 9.95,
  "e_tot_ha": -783.746677
}

Entry 4:
{
  "formula": "C2H14O4S",
  "method": "the ωB97M-V functional and the def2-TZVPD basis",